3.28.51 Release

-- Someone pasted materials data at this point --
(1)
For YSiBRh3, a structure optimized by DFT (PBE) gives the computed PXRD pattern in this record (Cu Kα (weighted mean of Kα1 and Kα2)).
Lines closer than 0.1° are merged.

Largest 10 diffraction maxima, by angle, 10 to 80 degrees two-theta:
- 26.0 deg, d = 3.430 Å, I = 21
- 32.2 deg, d = 2.783 Å, I = 68
- 37.8 deg, d = 2.381 Å, I = 100
- 42.1 deg, d = 2.145 Å, I = 52
- 46.4 deg, d = 1.956 Å, I = 43
- 53.4 deg, d = 1.715 Å, I = 16
- 57.9 deg, d = 1.594 Å, I = 24
- 64.7 deg, d = 1.441 Å, I = 15
- 67.3 deg, d = 1.392 Å, I = 35
- 68.2 deg, d = 1.375 Å, I = 21

Structure:
Unit cell a=5.499 b=5.499 c=3.430 alpha=90.00 beta=90.00 gamma=120.00
Positions (direct):
Y  0.000  0.000  0.000
Si  0.667  0.333  0.000
B  0.333  0.667  0.000
Rh  0.013  0.506  0.500
Rh  0.494  0.506  0.500
Rh  0.494  0.987  0.500

(2)
For MgMnTlV4S8, a structure optimized by DFT (PBE) gives the computed PXRD pattern in this record (Cu Kα (weighted mean of Kα1 and Kα2)).
Lines closer than 0.1° are merged.

Largest 10 diffraction maxima, by angle, 10 to 80 degrees two-theta:
- 16.0 deg, d = 5.538 Å, I = 46
- 20.0 deg, d = 4.432 Å, I = 79
- 20.4 deg, d = 4.351 Å, I = 42
- 28.7 deg, d = 3.113 Å, I = 42
- 30.3 deg, d = 2.946 Å, I = 56
- 33.0 deg, d = 2.718 Å, I = 100
- 34.1 deg, d = 2.626 Å, I = 50
- 41.1 deg, d = 2.195 Å, I = 40
- 46.4 deg, d = 1.957 Å, I = 51
- 52.9 deg, d = 1.730 Å, I = 46

Structure:
Unit cell a=3.461 b=9.003 c=9.328 alpha=75.37 beta=79.32 gamma=89.94
Positions (direct):
Mg  0.000  0.000  0.000
Mn  0.954  0.654  0.093
Tl  0.432  0.226  0.134
V  0.254  0.348  0.493
V  0.293  0.672  0.413
V  0.622  0.655  0.755
V  0.668  0.998  0.664
S  0.048  0.512  0.904
S  0.131  0.157  0.738
S  0.202  0.830  0.596
S  0.380  0.504  0.242
S  0.536  0.832  0.929
S  0.716  0.510  0.568
S  0.787  0.186  0.428
S  0.869  0.826  0.262

(3)
For Pr4Lu11S22, a structure optimized by DFT (PBE) gives the computed PXRD pattern in this record (Cu Kα (weighted mean of Kα1 and Kα2)).
Lines closer than 0.1° are merged.

Largest 10 diffraction maxima, by angle, 10 to 80 degrees two-theta:
- 23.7 deg, d = 3.755 Å, I = 79
- 24.4 deg, d = 3.646 Å, I = 100
- 26.6 deg, d = 3.353 Å, I = 62
- 27.6 deg, d = 3.234 Å, I = 48
- 27.9 deg, d = 3.203 Å, I = 63
- 31.7 deg, d = 2.821 Å, I = 62
- 34.2 deg, d = 2.624 Å, I = 53
- 42.4 deg, d = 2.133 Å, I = 55
- 44.5 deg, d = 2.037 Å, I = 35
- 46.3 deg, d = 1.960 Å, I = 42

Structure:
Unit cell a=19.525 b=19.525 c=11.269 alpha=91.35 beta=91.35 gamma=11.52
Positions (direct):
Pr  0.104  0.104  0.013
Pr  0.367  0.367  0.348
Pr  0.633  0.633  0.652
Pr  0.896  0.896  0.987
Lu  0.000  0.000  0.000
Lu  0.070  0.070  0.362
Lu  0.202  0.202  0.942
Lu  0.263  0.263  0.352
Lu  0.342  0.342  0.699
Lu  0.462  0.462  0.271
Lu  0.538  0.538  0.729
Lu  0.658  0.658  0.301
Lu  0.737  0.737  0.648
Lu  0.798  0.798  0.058
Lu  0.930  0.930  0.638
S  0.008  0.008  0.240
S  0.087  0.087  0.753
S  0.135  0.135  0.451
S  0.169  0.169  0.153
S  0.190  0.190  0.692
S  0.255  0.255  0.119

3.28.51 Release

# Calculated crystals that have nothing to do with the page
********
Ba4HoRu3O12: calculated powder X-ray diffraction pattern (Cu Kα (λ = 1.5418 Å)), based on a structure optimized by DFT (GGA-PBE).
Intensities are scaled so that the largest is 100.

Structure:
a = 10.3943 Å, b = 10.3943 Å, c = 10.3943 Å
α = 33.22°, β = 33.22°, γ = 33.22°
Fractional positions:
Ba: 0.1292 0.1292 0.1292
Ba: 0.2855 0.2855 0.2855
Ba: 0.7145 0.7145 0.7145
Ba: 0.8708 0.8708 0.8708
Ho: 0.0000 0.0000 0.0000
Ru: 0.4131 0.4131 0.4131
Ru: 0.5000 0.5000 0.5000
Ru: 0.5869 0.5869 0.5869
O: 0.1474 0.6125 0.6125
O: 0.2185 0.2185 0.6925
O: 0.2185 0.6925 0.2185
O: 0.3075 0.7815 0.7815
O: 0.3875 0.3875 0.8526
O: 0.3875 0.8526 0.3875
O: 0.6125 0.1474 0.6125
O: 0.6125 0.6125 0.1474
O: 0.6925 0.2185 0.2185
O: 0.7815 0.3075 0.7815
O: 0.7815 0.7815 0.3075
O: 0.8526 0.3875 0.3875

Peak list (8 most intense, 10 to 80 degrees two-theta, low angle first)
two_theta  d [Å]  intensity
27.4  3.256  61.2
29.9  2.993  17.3
30.1  2.971  100.0
35.1  2.555  16.4
41.1  2.195  36.3
********
# Here the page continues

Date:  Feb 1, 2022

Installation: https://downloads.interworkscloud.net/patches/3.28.0/CloudPlatform.Patch.3.28.51.zip
You must upgrade first to 3.28.0 using the interworks.cloud installer before applying this patch


New Commerce Experience - Partial Cancellations are Available in BSS & Storefront

For New Commerce Experience (NCE) offers, partners can immediately decrease (partially cancel) their subscription licenses from both the BSS and the Storefront. Additionally, the cancellation timeframe is now available in the form of a ribbon inside each active NCE subscription for the BSS users to know until when the cancellation of a subscription is possible.

Partial Cancellation

On this page

Strings for the Upcoming Release Note

The following Excel file contains the latest strings for translation, based on their tag_name, for the upcoming release note 3.28.51.


NCE Cancellation Time Frame Ribbon

Please check the https://interworkscloud.atlassian.net/wiki/spaces/ICPD/pages/541819780/Managing+NCE+Subscriptions#Changing-the-Subscription-Licenses page for more information.


Standard Edition - Office 365 & Gmail Emails can be used for Dispatching Notificatons

The Standard resellers can now setup and utilize the Gmail OAuth V2.0 & Office 365 OAuth V2.0 mail server authorizations for dispatching their email notifications to their customers.

Please check the https://interworkscloud.atlassian.net/wiki/spaces/ICPD/pages/452723619 page for more information.


“Trial to Paid” Subscriptions With Editable Quantity

From this release onwards, the BSS users can select the subscription quantity while they upgrade a trial subscription to a paid one.

Please check theUpgrade a Trial Subscription to Paid page for more information.


Subscriptions Transition to Failed Status after 120 mins

When a provisioning action remains under the “In Progress” phase, a retry function runs automatically every 5 seconds for a total of 120 minutes until the provisioning action is completed within this time frame.
If a subscription, sub-subscription, or add-on remains under the “In Progress” step for more than 120 minutes, its provisioning status will change to failed, but the user can try the provisioning action again.


Updates on APIs


OrderItems API (V.3)


OrderItems API (V.3)

Here the entry breaks off for crystal structures
The following is a simulated powder diffraction line list of Li4MnCu3P4O16. It was derived from the PBE+U geometry in Alexandria, using Cu Ka.
No peak broadening, texture or thermal motion is included.

Most intense lines, 15° ≤ 2θ ≤ 90°, low angle first:
- (0 0 2), 17.5 deg, 5.066 Å, I 54.1
- (1 0 -1), 20.5 deg, 4.343 Å, I 50.9
- (1 0 1), 20.7 deg, 4.281 Å, I 37.9
- (1 1 -1), 25.1 deg, 3.546 Å, I 57.8
- (1 1 1), 25.4 deg, 3.511 Å, I 76.7
- (0 2 0), 29.1 deg, 3.072 Å, I 100.0
- (1 1 -3), 35.4 deg, 2.533 Å, I 60.7
- (1 1 3), 36.0 deg, 2.496 Å, I 81.2
- (0 1 4), 38.4 deg, 2.342 Å, I 31.0
- (0 1 6), 56.5 deg, 1.628 Å, I 28.6

Structural model:
abc: 4.7652 6.1444 10.1345
angles: 90.00 91.07 90.00
Space group Pm (No. 6)
Symmetry-distinct sites (fractional):
Li 0.0000 0.2474 0.0000 x2
Li 0.5104 0.2481 0.4874 x2
Mn 0.9783 0.0000 0.7096 x1
Cu 0.0494 0.5000 0.2769 x1
Cu 0.4449 0.5000 0.7796 x1
Cu 0.5467 0.0000 0.2076 x1
P 0.0923 0.0000 0.3891 x1
P 0.4263 0.0000 0.9038 x1
P 0.5763 0.5000 0.0882 x1
P 0.9221 0.5000 0.5863 x1
O 0.2166 0.0000 0.5317 x1
O 0.2238 0.2025 0.3191 x2
O 0.2475 0.5000 0.5983 x1
O 0.2519 0.5000 0.0950 x1
O 0.2870 0.1999 0.8318 x2
O 0.3053 0.0000 0.0463 x1

Improvement Description

The change provides the ability to retrieve the characteristics of a sub-item of a bundle order item based on the given IDs.

Affected End-Point(s)

GET /api/orderItems/{itemId}/bundleProducts/{productId}/characteristics



Products API (V.3)

Improvement Description

The new end-point provides the ability to retrieve the category path of a product.

Affected End-Point(s)

GET /api/products/{productId}/categorypath



Products API (V.3)

Improvement Description

The new end-point provides the ability to retrieve all product categories of the organization. (Pagination is supported)

Affected End-Point(s)

GET /api/products/categories